CA Clique Redux

MHM must nip out to the barn now and feed a few carrots while she is still mobile enough to do so.

Bumpkin: No, that was not QHSM in the photos of Spring Cleaning the Tackroom. Funny thing, I HATE writing those kinds of articles! I swear I keep adding to my list of “don’t even ask me to write…”. That list now includes articles on trucks/trailers, de-worming, avoiding the summer onslaught of flies and organizing a tackroom. If you could only see our tackroom, you’d understand why the photos weren’t shot at our place!

dublin: Welcome back to the land of the living!

[Inserted here: molecular data]
........
This record from OMol25 describes a structure of composition C28H28ClN7O5S4Tc. The level of theory is ωB97M-V/def2-TZVPD.

Geometry (Å):
Tc: -0.947 0.374 -0.555
N: -0.777 1.658 2.563
C: 0.435 1.152 2.144
C: 1.438 1.022 3.114
C: 2.678 0.563 2.745
C: 2.912 0.252 1.408
C: 1.878 0.392 0.519
N: 0.643 0.817 0.874
C: -1.958 1.988 1.911
C: -2.819 2.841 2.606
C: -4.033 3.177 2.059
C: -4.358 2.675 0.807
C: -3.444 1.871 0.175
N: -2.265 1.502 0.709
H: -0.758 1.979 3.516
H: 1.224 1.297 4.139
H: 3.460 0.457 3.486
H: 3.878 -0.086 1.058
H: 2.000 0.155 -0.532
H: -2.514 3.238 3.566
H: -4.712 3.830 2.592
H: -5.302 2.891 0.327
H: -3.647 1.500 -0.817
S: -2.449 -0.811 -2.134
S: -4.346 -0.276 -2.522
S: -5.784 -0.818 -1.015
S: -5.072 -0.786 0.805
O: -0.892 2.005 -1.575
N: -0.980 3.284 -1.320
C: -1.538 3.970 -2.258
C: -2.100 3.375 -3.451
N: -2.545 2.882 -4.389
C: -1.639 5.397 -2.074
N: -1.742 6.535 -1.959
C: 1.488 1.848 -3.959
C: 2.397 1.514 -2.813
C: 2.668 2.462 -1.832
C: 3.566 2.199 -0.809
Cl: 3.842 3.399 0.426
C: 4.246 0.996 -0.759
C: 3.946 0.027 -1.704
C: 3.006 0.263 -2.699
O: 2.794 -0.770 -3.569
C: 1.470 -1.260 -3.802
C: 0.684 -1.467 -2.513
O: 0.349 -2.586 -2.157
O: 0.455 -0.356 -1.880
H: 1.419 2.928 -4.086
H: 0.486 1.456 -3.784
H: 1.865 1.420 -4.889
H: 2.186 3.432 -1.881
H: 4.979 0.813 0.016
H: 4.436 -0.939 -1.685
H: 1.610 -2.222 -4.282
H: 0.892 -0.606 -4.456
O: -1.073 -1.317 0.556
C: -0.739 -2.390 1.098
C: 0.653 -2.908 0.886
C: 0.810 -4.424 0.989
C: 0.916 -4.932 2.426
C: -0.126 -4.286 3.343
C: -1.500 -4.201 2.689
N: -1.651 -3.040 1.808
H: 1.323 -2.388 1.580
H: 0.907 -2.584 -0.124
H: 1.698 -4.715 0.429
H: -0.036 -4.897 0.484
H: 1.916 -4.734 2.820
H: 0.780 -6.016 2.430
H: 0.189 -3.277 3.626
H: -0.212 -4.864 4.263
H: -2.268 -4.098 3.453
H: -1.710 -5.123 2.141
H: -2.584 -2.662 1.699

For the HOMO energy (spin up / spin down), the calculation gives -7.42 / -7.69 eV. The total energy is -3977.0328 hartree. Its spin multiplicity is 4. The value obtained for the relative energy (zero: lowest compared OMol25 entry of this formula, charge and spin) is 0.0000 eV. Its largest force on an atom is 1.52 eV/A.


This record from OMol25 describes a structure of composition C28H28FN4SSc. The level of theory is ωB97M-V/def2-TZVPD.

Geometry (Å):
Sc: -0.835 -0.114 0.332
N: -1.933 -2.059 3.991
C: -2.563 -0.894 4.421
C: -3.272 -0.595 5.578
C: -3.765 0.688 5.675
C: -3.559 1.638 4.658
C: -2.856 1.333 3.513
C: -2.355 0.038 3.405
N: -1.616 -0.571 2.385
C: -1.391 -1.819 2.792
C: -0.607 -2.738 1.972
C: -0.161 -3.993 2.228
S: 0.739 -4.570 0.895
C: 0.523 -3.102 0.091
N: -0.213 -2.232 0.746
H: -1.900 -2.931 4.495
H: -3.430 -1.324 6.361
H: -4.323 0.975 6.555
H: -3.965 2.633 4.784
H: -2.700 2.070 2.737
H: -0.312 -4.601 3.105
H: 0.945 -2.910 -0.888
C: 4.525 0.469 -1.232
C: 3.172 0.091 -0.629
C: 3.354 -0.766 0.629
C: 2.276 -0.629 -1.621
C: 2.772 -1.691 -2.369
C: 1.953 -2.398 -3.238
C: 0.621 -2.046 -3.378
C: 0.080 -0.980 -2.662
C: -1.367 -0.593 -2.955
C: -1.458 0.711 -3.752
C: -2.319 -0.539 -1.748
........

Suave & coreene: A “uniboob look”? I’m guessing you mean the one long, rectangular boob look, often created by the use of a sports bra. I do not get a uniboob, I get a unilump. I am not particularly well-endowed. No, I gave my endowment to Beezer.

MHM, MO & Heidi: Yes, the Iron Rider idea, stolen from the Iron Chef program, would just be hysterical if accompanied by an emcee who was permitted to poke fun at the participants. Hmm… instead of a course with an Audi, what about a course where first you navigated around the jumps in a golf cart (with a filled-to-the-brim grooming tote in the back), then climbed right on a horse and jumped the same course, and added the two times together? What a crack up!

Oh Beezer, that is so sad. Couldn’t figure why I wasn’t able to sign on to the BB’s, till I looked, I was typing Beezer as my password…See what that story did?? And yes, our QH loved orange soda. He actually was mid air, over a jump, when he heard money going into the machine next to the ring. We landed, and he stopped dead, I was a lawn ornament. He did a lovely 180, and cantered happily over to the machine. We always miss them. They are our family and kindred spirits, nothing changes that ever.

She slips off her Manolos and starts doing the Lead Change Dance while jingling not one but three 18kt QVC Curb Chain Bracelets and singing “Hambola krishna, Hambola krisha.”

She then stops, horrified, and realizes she’s been dipping into the Bolly far too much.

SHOPPING??? Can hardly breath for the excitement of it all!!!
It’s the absolute most perfect day!

viney, we’ll get you a port-o-potty, sorry hon, but just in case. Bring that barbie, we’ll have a ball.

Uh people, we need to go extract Merry from this position she assumed on another thread. She was doing some sort of split, and well…IT’s pretty ugly.

Well, my horse may be seasoned, but I sure haven’t been riding like I am!!! Well, at least not at shows! Okay, but this was my first Indio (I’ve been 3 times) where I didn’t have to go to the emergency room!!! Gotta look at the positive side of things!

This is so incredibly sad. The northern people know her mom as well as her. She was a beautiful girl. They haven’t been married very long. It’s so hard to believe she’s gone… Our prayers and thoughts go out to her family… This is a tragedy.

Thank you dublin and Beezer for posting the information.

is the same horse that I spotted in that olde HORSES magazine and reported back on the dead CA thread.
I keep thinking there were other horses that she rode, but haven’t seen others.

We had a really good day, actually. It was a small county show at a private riding school, so it’s the perfect place for a baby. Hence, I brought Tigger along, since he has only “seen” a show once before. I was able to lunge him and ride him in the warm-up arena (they have a separate one just for hacking, and it’s quiet) in a big circle. He was really good! Unfortunately, the power steering went out when we tracked to the right, so I must work on that at home. I was glad Beezer saw what a good mind her young boy has. Especially since I figured he’s only been ridden maybe 20 times.

Beezer rode really well and was able to school a lot in both rings and then went in and won both her rounds. The amateur adult round didn’t fill, naturally, so we scratched and came home. Of course, that was after a kid was hauled off by the paramedics with a possible pelvic fracture after doing a cartwheel and lawn dart manuever when her horse sat down in front of the liverpool.

So now, thankfully, it looks like Beezer and the lovely Spotted Mare from Hell will have a decent time at Ride America next weekend. Now, if only I can trust the Hambola Virus to behave.

“Oh wow, is that John French aboard? Isn’t he best pals and uber-buddies with your old trainer? I hear the two of them are like ‘this’. In fact, aren’t they business partners? I saw his photo on her website.”

Me thinks Princess Beezer shall have to come to a decision about her own horse commodities. Personally, I’d like to see her down-size her own horse holdings and buy herself a mount more befitting an “older” amateur rider. I can say this without fear of a royal outrage because I am indeed several years her senior.

Can’t we all just get along?

OK kids. Let’s try to be nice to one another and not say what may seem like mean things about other posters. You wouldn’t want people saying similar things about you, and none of us want a flame war to start. This is a fun, lightweight, friendly thread. Let’s keep it that way, OK?

Really? RF snagged a lottery winner? Are you serious? I don’t think the state HAS that much $ for me!

Sort of a similar story with someone whose initials are AP, a “trainer” who formerly did mostly jumpers out of a barn at Industry Hills… ex-wife’s first name is Barbara…story is a little foggy, but I believe it was something like their divorce became final days before he won the lottery for millions! What a guy… he at least, rumor has it, gave her a small chunk of change, but here she’d stuck it out with AP and just when Fate was about to smile on her… she misses it by thiiiiiiss much. Dang!

Interview (3rd one) progressed smoothly. My only goal is to find a job that doesn’t interfere with the riding And make more money which unfortunately don’t seem to go hand in hand .

I Heard through a third party that Ex-T has been saying the most nasty things regarding me since I left her barn. What do you do in a situation like that. I just don’t understand what all the nastiness is all about. It’s really too bad that some people need to behave that way. I keep telling myself what goes around comes around. Any suggestions

Everybody Loves Raymond…Doris Roberts and Peter Boyle’s characters are my in-laws. (may they rest in peace) Never was a gift they couldn’t return within 24 hours, never spoke a civil word to each other, and never was one thing I could do right. Ya gotta love that.

-- begin --
No. 1
ORCA calculation (ωB97M-V with the def2-TZVPD basis set) on a single CH3F2N2P molecule in a non-equilibrium geometry.

```
9
CH3F2N2P | OMol25 | ωB97M-V with the def2-TZVPD basis set
H 2.163 -1.167 -1.125
N 1.270 -0.803 -1.206
C 0.975 -0.310 -0.056
P -0.714 0.335 0.001
N -1.009 0.938 1.423
F -0.633 1.293 -1.242
F -1.643 -0.789 -0.606
H 1.531 -0.428 0.838
H -1.941 0.932 1.974
```

The value obtained for the relative energy (zero: lowest compared OMol25 entry of this formula, charge and spin) is 0.000 eV. The multiplicity is 1. The calculation puts the LUMO energy at 0.0003 hartree. The largest force on an atom is 0.0560 hartree/bohr. As for the HOMO-LUMO gap: 10.18 eV. The SMILES is [H]/N=C/P(=N)(F)F. The HOMO energy is -0.3739 Eh. The value obtained for the total energy is -18790.4760 eV.

***

No. 2
ORCA calculation (ωB97M-V with the def2-TZVPD basis set) on 9 unconnected molecules or ions with the total composition C37H49N8O15 in a non-equilibrium geometry.

```
109
C37H49N8O15 | OMol25 | ωB97M-V with the def2-TZVPD basis set
C 2.850 2.909 6.774
O 2.838 3.789 5.806
O 3.442 1.832 6.570
O 2.093 3.023 7.799
H 3.883 1.714 5.755
C 5.679 5.149 0.365
C 6.218 3.928 -0.487
C 6.201 2.551 0.138
C 5.466 2.438 1.488
C 5.322 3.763 2.366
C 5.500 5.054 1.739
N 5.228 1.108 2.030
O 5.421 0.157 1.418
O 4.739 1.067 3.126
H 5.831 6.086 -0.120
H 6.549 4.060 -1.458
H 6.516 1.622 -0.259
H 5.081 3.694 3.272
H 5.425 6.130 2.272
C 4.322 2.522 10.555
C 4.271 2.848 12.059
C 5.044 2.055 13.053
C 5.804 0.926 12.608
C 5.741 0.405 11.144
C 5.107 1.402 10.159
N 6.575 0.096 13.605
O 6.884 0.775 14.689
O 6.978 -1.012 13.279
H 3.729 3.075 9.792
H 3.795 3.807 12.372
H 5.119 2.522 14.053
H 6.092 -0.503 10.844
H 4.866 1.326 9.073
C -1.019 6.545 6.256
C -2.336 7.228 6.550
C -3.064 6.487 7.758
C -2.561 5.245 8.443
C -1.145 4.785 7.996
C -0.443 5.453 6.855
N -3.298 4.618 9.603
O -2.759 3.734 10.259
O -4.472 4.974 9.767
H -0.251 7.147 5.477
H -2.592 8.086 5.901
H -4.033 6.918 8.170
H -0.881 3.757 8.362
H 0.669 5.159 6.547
C -0.912 -0.653 7.037
C -2.093 -0.952 8.059
C -2.242 -0.377 9.356
C -1.262 0.677 9.807
C -0.143 1.056 8.825
C 0.007 0.306 7.514
N -1.318 1.191 11.206
O -0.243 1.782 11.684
O -2.197 0.716 11.911
H -0.735 -1.116 6.098
H -2.918 -1.551 7.745
H -2.898 -0.587 10.068
H 0.669 1.764 9.230
H 0.903 0.308 6.917
C 1.413 7.110 12.163
O 2.032 8.116 12.423
N 1.771 6.141 11.244
C 0.855 5.005 10.986
C 3.080 6.239 10.559
H 0.464 6.799 12.535
H 1.176 4.234 11.718
H 1.207 4.742 10.076
H -0.207 5.019 11.080
H 3.684 5.692 10.961
H 3.496 7.333 10.635
H 2.749 5.954 9.474
C 3.324 -2.321 3.652
O 2.694 -3.051 2.867
N 3.304 -2.654 4.917
C 3.836 -1.703 5.923
C 2.431 -3.832 5.405
H 3.770 -1.493 3.436
H 4.346 -2.239 6.678
H 2.996 -1.184 6.521
H 4.669 -1.151 5.619
H 2.651 -4.012 6.489
H 2.529 -4.566 4.553
H 1.306 -3.158 5.402
C -1.423 0.948 3.248
O -1.711 -0.261 2.996
N -0.275 1.421 3.715
C -0.007 2.822 4.216
C 0.881 0.603 3.764
H -2.244 1.800 3.232
H -0.643 3.450 3.903
H 0.913 3.136 3.818
-- stop --
-- Back to the article --

OH NOOOOO!!! Bumpkin, the only thing on TV at that hour, including cable, is QVC!

Bumpkin arrives at the Cal Clique reunion, and everyone is aghast at her display of Joan Rivers jewelry…

Or perhaps she’s hawking our curb chain bracelets?

Thanks MO! Next time I will try to be more careful reading and actually “get” it!!
And Elizabitch daaaarling…so how was the SECOND DATE??? Come on…DISH!


It seems like I’ve been waiting forever to get this pic. So I’ve scanned it in, and posted it below.

Merry and Beezer, that is such a sad story about the original Beezer!

Merry, I was at the World Cup in Vegas…those showgirls were, uh, a little out of place, dancing around in the arena. But the whole event itself was great. I went with a bunch of friends from the barn, and 4 of us split a room at Treasure Island. We spent a LOT of time at the spa there, and did LOTS of shopping! It was a blast!

More good news on the job front - I got another call today from the manager of the office and he left a message saying that the people from the other office called people at my old job and I got rave reviews. My old job was working for the government, and this company gets lots of $$$ from them in contracts. So he wants to talk to me again. I called him from my cell phone on the way to the barn, but he wasn’t in…I’ll try again tomorrow.

Please, no comments on the fact that my heel is practically hitting me in the butt in the pic…I am working on it!!!

Thanks for your support. My business partner and I are trying to think something better will come along. The 3 fortunes that I got tonight at the local chinese resturant are:
1.Don’t always think the worst hope for the best.
2.There is true and sincere friendship between you both.
I understand these 2 but the third one has me wondering.
3.Your present plans are going to suceed.
I just wish I knew what my present plans are.
Maybe winning the lottery?

I can barely move this morning However I am determined to be on the Suave at 10:00am hackamore in place with saddle and my straw hat. You are right Merry…it is sacriledge. Maybe I need a horsey blessing? (Forgive me Merry for I have taken a header )
Loved the article this month from Grungy to Georgeous. Tigger looks wonderful! I think a little trimming goes a long way. Speaking of which, why don’t the DQ’s trim their horses whiskers? Did they all train at UC Santa Clara? I noticed in Germany they don’t do that as well Is it a new trend

I totally empathize w/ your situation. The thing is, in this industry, it is almost guaranteed that you WILL run into her again…and probably often. Do it in person, and make it short but sweet. I don’t know what circumstances you are leaving under, but I would try to make the whole thing as “pleasant” and non confrontational as possible.

Of course, this is kind of a “do as I say and not as I do” on my part…I left my last “trainer” (and I do use the term LOOSELY) under cover of darkness and in the middle of the night…heeehee…